[Activity]
Now transcribe only the lines underneath with the word "Fe8" in them.

[Listing]
********
Arrangement one

K2Fe2P2O7F2 | PBE+U | optimized geometry

Computed properties:
Space-group type: Pbcn (60)

a b c (Å): 7.3103 11.8925 11.1128
angles (deg): 90.00 90.00 90.00
Element x y z (fractional)
K1 0.0728 0.1848 0.0488
K2 0.0728 0.8152 0.5488
K3 0.4272 0.3152 0.5488
K4 0.4272 0.6848 0.0488
K5 0.5728 0.3152 0.9512
K6 0.5728 0.6848 0.4512
K7 0.9272 0.1848 0.4512
K8 0.9272 0.8152 0.9512
Fe1 0.0000 0.3848 0.7500
Fe2 0.0000 0.5000 0.0000
Fe3 0.0000 0.5000 0.5000
Fe4 0.0000 0.6152 0.2500
Fe5 0.5000 0.0000 0.0000
Fe6 0.5000 0.0000 0.5000
Fe7 0.5000 0.1152 0.2500
Fe8 0.5000 0.8848 0.7500
P1 0.1946 0.0844 0.7181
P2 0.1946 0.9156 0.2181
P3 0.3054 0.4156 0.2181
P4 0.3054 0.5844 0.7181
P5 0.6946 0.4156 0.2819
P6 0.6946 0.5844 0.7819
P7 0.8054 0.0844 0.7819
P8 0.8054 0.9156 0.2819
O1 0.0000 0.1419 0.7500
O2 0.0000 0.8581 0.2500
O3 0.0592 0.3656 0.5835
O4 0.0592 0.6344 0.0835
O5 0.2225 0.0851 0.5847
O6 0.2225 0.9149 0.0847
O7 0.2255 0.0181 0.2935
O8 0.2255 0.9819 0.7935
O9 0.2745 0.4819 0.7935
O10 0.2745 0.5181 0.2935
O11 0.2775 0.4149 0.0847
O12 0.2775 0.5851 0.5847
O13 0.4408 0.1344 0.0835
O14 0.4408 0.8656 0.5835
O15 0.5000 0.3581 0.2500
O16 0.5000 0.6419 0.7500
O17 0.5592 0.1344 0.4165
O18 0.5592 0.8656 0.9165
O19 0.7225 0.4149 0.4153
O20 0.7225 0.5851 0.9153
O21 0.7255 0.4819 0.7065
O22 0.7255 0.5181 0.2065
O23 0.7745 0.0181 0.2065
O24 0.7745 0.9819 0.7065
O25 0.7775 0.0851 0.9153
O26 0.7775 0.9149 0.4153
O27 0.9408 0.3656 0.9165
O28 0.9408 0.6344 0.4165
F1 0.1847 0.3149 0.2733
F2 0.1847 0.6851 0.7733
F3 0.3153 0.1851 0.7733
F4 0.3153 0.8149 0.2733
F5 0.6847 0.1851 0.7267
F6 0.6847 0.8149 0.2267
F7 0.8153 0.3149 0.2267
F8 0.8153 0.6851 0.7267

***

Arrangement two

K2Fe2P2O7F2 | PBE+U | optimized geometry

Computed properties:
Space-group type: Pbcn (60)

a b c (Å): 7.0816 10.3204 10.6100
angles (deg): 90.00 90.00 90.00
Element x y z (fractional)
K1 0.0695 0.1638 0.0536
K2 0.0695 0.8362 0.5536
K3 0.4305 0.3362 0.5536
K4 0.4305 0.6638 0.0536
K5 0.5695 0.3362 0.9464
K6 0.5695 0.6638 0.4464
K7 0.9305 0.1638 0.4464
K8 0.9305 0.8362 0.9464
Fe1 0.0000 0.3389 0.7500
Fe2 0.0000 0.5000 0.0000
Fe3 0.0000 0.5000 0.5000
Fe4 0.0000 0.6611 0.2500
Fe5 0.5000 0.0000 0.0000
Fe6 0.5000 0.0000 0.5000
Fe7 0.5000 0.1611 0.2500
Fe8 0.5000 0.8389 0.7500
P1 0.2097 0.0713 0.7544
P2 0.2097 0.9287 0.2544
P3 0.2903 0.4287 0.2544
P4 0.2903 0.5713 0.7544
P5 0.7097 0.4287 0.2456
P6 0.7097 0.5713 0.7456
P7 0.7903 0.0713 0.7456
P8 0.7903 0.9287 0.2456
O1 0.0000 0.0071 0.2500
O2 0.0000 0.9929 0.7500
O3 0.1360 0.1846 0.6611
O4 0.1360 0.8154 0.1611
O5 0.1563 0.4924 0.6608
O6 0.1563 0.5076 0.1608
O7 0.2342 0.4958 0.8843
O8 0.2342 0.5042 0.3843
O9 0.2658 0.0042 0.3843
O10 0.2658 0.9958 0.8843
O11 0.3437 0.0076 0.1608
O12 0.3437 0.9924 0.6608
O13 0.3640 0.3154 0.1611
O14 0.3640 0.6846 0.6611
O15 0.5000 0.4929 0.7500
O16 0.5000 0.5071 0.2500
O17 0.6360 0.3154 0.3389
O18 0.6360 0.6846 0.8389
O19 0.6563 0.0076 0.3392
O20 0.6563 0.9924 0.8392
O21 0.7342 0.0042 0.1157
O22 0.7342 0.9958 0.6157
O23 0.7658 0.4958 0.6157
O24 0.7658 0.5042 0.1157
O25 0.8437 0.4924 0.8392
O26 0.8437 0.5076 0.3392
O27 0.8640 0.1846 0.8389
O28 0.8640 0.8154 0.3389
F1 0.1768 0.2920 0.3333
F2 0.1768 0.7080 0.8333
F3 0.3232 0.2080 0.8333
F4 0.3232 0.7920 0.3333
F5 0.6768 0.2080 0.6667
F6 0.6768 0.7920 0.1667
F7 0.8232 0.2920 0.1667
F8 0.8232 0.7080 0.6667

***

Relative to the most stable one, in meV/atom, the structures come out at arrangement one 0; arrangement two 79.

***

Arrangement one

Ba2MgW2O8 | PBE+U | optimized geometry

Computed properties:
Space-group type: P1 (1)

a b c (Å): 6.5703 6.6932 7.0906
angles (deg): 107.14 114.78 103.43
Element x y z (fractional)
Ba1 0.0000 0.0000 0.0000
Ba2 0.2691 0.5424 0.8216
Mg1 0.8592 0.0136 0.4032
W1 0.4629 0.9990 0.5434
W2 0.7330 0.4787 0.2846
O1 0.2305 0.1242 0.5334
O2 0.3749 0.8736 0.2312
O3 0.3939 0.3251 0.0985
O4 0.4940 0.8471 0.7269
O5 0.7617 0.7033 0.1660
O6 0.8114 0.1477 0.6640
O7 0.8632 0.2539 0.2852
O8 0.9115 0.6808 0.6011

***
********

[Solution]
Fe8 0.5000 0.8848 0.7500
Fe8 0.5000 0.8389 0.7500